>Sup Forums constantly rants about how “The Jews” control the media, crafting false narratives to push an agenda. Well it seems that, for now at least, Sup Forums has become The Jew.
Is it true? Are we the jew now?
>Sup Forums constantly rants about how “The Jews” control the media, crafting false narratives to push an agenda. Well it seems that, for now at least, Sup Forums has become The Jew.
Is it true? Are we the jew now?
Other urls found in this thread:
>implying you aren't Uncle Chang
Not clicking on your shit article, gook.
Did you not know? Sup Forums has always been Jewish, that's why we complain about everything and shit talk muslims.
oy vey
>implying i would want to be a tiny dicked gook
i follow him on twitter though which is how i found the article
the jews do control the media shit for brains
and they are pushing an agenda
im jewish where's my media empire?
We learned from the best.
who the fuck do you think owns the money
but ya know keep telling yourself there is no such thing as race
become a tragic greek hero bruh
>directly linking to article
you're not getting my clicks faget
there is no conspiracy, race doesn't exist and we should all multiculturalize except for Israel
sorry lads
I remember those days.
what did he mean by this?
Thanks OP, you are forgiven.
you have to become the jew in order to fight the jew
Which is hilarious since for years people here have been saying we should do just that.
>false narratives
>doesn't try to prove Sup Forums wrong
There is so much evidence against the jews, it's not even funny. Usually when someone says "you're wrong" there are usually facts to back up that claim.
I think you read that wrong user
>anecdotal evidence
>not high enough IQ to understand this argument
You're the Jew they put on the short bus.
You're right. I didn't realize it was a trash, low-traffic website, which OP is probably the owner of.
This is advertising. Sage.
No. I could point out how affirmative action was a Jewish creation in both Canada and in the USA, how they were the driving force behind opening our borders, how the lawsuits that allowed near unrestricted abortion in our countries were both lead by kikes or hell I could lay out the thousands of hooked noses behind the drug/porn/tranny degeneracy they target our children with. But I won't.
Rather i'll ask that whenever someone in this thread witnesses societal/political rot ask yourself, and don't be afraid to do some digging if necessary, if a certain sunken eyed inbred tribe is behind it.
nobody said all jews are involved
we aren't antisemitic
dah fuck multiculturalize kys yourself
Shut your face
>Sup Forums isn't anti-semetic
i have no face for this
>Surprisingly, scat didn't turn the normies off Pepe as much as Donald J. Trump
>normies embraced poopoo peepee
that still slays me. /r9k/ tried so hard with that one too.
Actually it seems like a lot of boards try to do shit first (meme magic, tulpas, co-opting memes) and fail miserably. Then Sup Forums comes along and does it with ease.
We are the anti-Jew, you silly Chinaman
Oh it's true, it's damn true
The only reason he is so stupid is because his grandpa survived the camp then they let him reproduce
>Actually it seems like a lot of boards try to do shit first (meme magic, tulpas, co-opting memes) and fail miserably. Then Sup Forums comes along and does it with ease.
It's because they haven't learned how to weaponize their autism. They're just autistic.
>shut it down
Sup Forums is made up of all the btards from 2006-2010 that migrated here after b died. We've been the ones getting it done since the start
We are the jews now, embrace it and go forth and manipulate the mainstream culture in our image.
"First they came for the wizards, and did not speak out because I was not a wizard, then they came for the gamers..."
"All Sup Forums-ers are hoarding dank memes..."
"The International Kekistani conspiracy to secure a Red Pilled State..."
We've been the jew for years.
This is crafted counter-psy-ops intented to make us personally upset/angry at being compared to jews. dont fall for their tricks
Speak for your fucking self, you untermensh.
Anyone can be the Jew if they work hard enough to be, it's just that our work isn't even work to us, it's just fucking fun!
Toothpaste is the real brainwashing tool of the jews, this is why the west has been degenerate since the baby boomers
Is it so surprising that we would witness the kikes gain global power and not adopt their tactics in our own bid for power?
Yes, we are. You should have come to terms with that already during the election last year when we somehow memed Trump into being a contender.
Those of us who understood jewish tricks the most used this knowledge to utilize our memes to maximum effect. We learned to fight fire with fire and it turns out that we're just way better at the game.
>Sup Forums, and Sup Forums in particular, has become so powerful they effectively own the media and control the news cycle.
>Sup Forums constantly rants about how “The Jews” control the media by crafting false narratives to push an agenda. Well it seems that, for now at least, Sup Forums has become The Jew.
Then why am I still dirt poor?
Can confirm
Most of us are probably cryptos and don't know it
Are you sure you're part of the tribe? The satanic jews only go by if your mother was born a jew. Do you have a long line of Jewish born mothers? Obviously not because you're asking about your lack of gods chosen membership card
I'm white where's my black slaves?
I enjoy Sup Forums has become the jew. Sums up the past year or two.
Gas Anons! Media War Now!
>defendind kikes
your ancestors are rolling in their graves
>Sup Forums has become The Jew.
== These records of molecules were left in the piece by mistake ==
<<<
Model w:
# C5H11NO2

A cluster of 3 separate species, C5H11NO2 in total (the ωB97M-V functional and the def2-TZVPD basis, the OMol25 dataset).

As for the SMILES: Cc1ccc[nH]1.O.O. Its gap between HOMO and LUMO is 8.829 eV.

Last column: Löwdin charge in e.
Atoms and positions in Å:
C: -1.41 1.51 0.04  -0.05
C: -1.30 0.08 0.11  -0.44
C: -1.16 -0.58 1.24  -0.05
C: -0.97 -1.98 0.80  -0.07
C: -0.86 -2.01 -0.59  -0.10
N: -1.16 -0.70 -1.02  0.08
H: -0.49 1.98 0.04  0.03
H: -2.05 1.90 -0.79  0.09
H: -2.02 1.77 0.99  0.12
H: -1.24 -0.07 2.15  0.09
H: -0.78 -2.68 1.60  0.08
H: -0.50 -2.85 -1.16  0.09
H: -1.28 -0.34 -1.89  0.10
O: 1.84 1.19 1.01  -0.06
H: 1.59 1.02 0.10  0.01
H: 1.94 2.17 1.04  0.06
O: 3.40 0.01 -1.52  -0.01
H: 3.83 0.04 -0.69  0.02
H: 2.61 -0.45 -1.46  -0.02


Model x:
# C5H11NO2

A structure of composition C5H11NO2 (the ωB97M-V functional and the def2-TZVPD basis, the OMol25 dataset).

Its gap between HOMO and LUMO is 8.271 eV.

Last column: Löwdin charge in e.
Atoms and positions in Å:
C: 0.64 1.08 -0.67  -0.04
C: 1.12 -1.95 -1.15  -0.08
C: -1.13 1.91 0.85  -0.07
C: -0.23 -0.85 1.48  0.17
N: -0.32 0.79 0.42  -0.14
C: -0.38 0.08 -1.10  -0.59
O: -0.04 -1.30 -0.65  -0.21
O: -1.26 0.19 -1.95  0.01
H: 0.51 2.05 -1.15  0.13
H: 1.68 0.84 -0.46  0.10
H: 1.34 -2.78 -0.48  0.09
H: 2.01 -1.31 -1.22  0.08
H: 0.91 -2.32 -2.15  0.09
H: -0.52 2.76 1.16  0.08
H: -1.76 1.65 1.71  0.08
H: -1.80 2.21 0.03  0.10
H: 0.52 -0.41 2.13  0.06
H: -1.27 -0.74 1.79  0.07
H: -0.02 -1.91 1.40  0.06


Which structure is the most stable? The one labeled model w.


Model w:
# CH4BNO2

A structure of composition CH4BNO2 (the ωB97M-V functional and the def2-TZVPD basis, the OMol25 dataset).

Its gap between HOMO and LUMO (spin up / spin down) is 8.418 / 8.205 eV.

Last column: Löwdin charge in e.
Atoms and positions in Å:
B: 1.62 -1.64 -0.16  -0.30
C: -1.25 1.72 -0.07  0.00
N: -1.39 0.63 0.47  -0.11
O: -0.92 -0.53 0.49  -0.05
O: 2.03 -0.69 0.51  0.05
H: 1.95 -2.69 -0.80  0.08
H: 0.23 -1.23 -0.28  0.15
H: -1.99 2.41 0.32  0.08
H: -0.29 2.01 -0.48  0.10


Model x:
# CH4BNO2

A structure of composition CH4BNO2 (the ωB97M-V functional and the def2-TZVPD basis, the OMol25 dataset).

Its gap between HOMO and LUMO is 11.006 eV.

Last column: Löwdin charge in e.
Atoms and positions in Å:
B: -0.84 0.79 0.34  -0.03
C: -0.33 -0.67 -0.25  -0.04
N: 1.09 -0.21 0.01  -0.36
O: 2.06 -0.84 -0.38  0.11
O: 1.14 0.84 0.67  0.07
H: -1.56 0.90 1.20  0.01
H: -0.61 1.55 -0.49  0.03
H: -0.55 -1.67 0.17  0.12
H: -0.40 -0.69 -1.28  0.08


Which structure is the most stable? The one labeled model x.


Model w:
# CH4BNO2

The molecule CH4BNO2 (the ωB97M-V functional and the def2-TZVPD basis, the OMol25 dataset).

As for the SMILES: BC[N+](=O)[O-]. Its gap between HOMO and LUMO is 10.263 eV.

Last column: Löwdin charge in e.
Atoms and positions in Å:
B: -0.70 -0.80 -0.82  0.11
C: 0.54 -0.03 -0.25  -0.09
N: 0.19 0.75 0.94  -0.45
O: -0.23 0.17 1.92  0.07
O: 0.27 1.96 0.93  0.08
>>>
Damn it they know.
Shut it down.
Sup Forums is unironically moderated by an Israeli advertising company with ties to (((Kushner))).
all we need to do now is meme a country in to existence
I'm not sure I've ever seen someone publicly stating they're a 4chin mod apart from mootiekins and snacks.
Just happened the other day. His twitter says the same thing.
I mailed it to you hasn't it arrived?
Shit I'll find a tracking number.
Well son of a bitch
Yeah, between this shit, all the dumbass bans I've been getting, and all the normies, this place is turning to shit. Guess it's time to head to infinity chan for a few months.
Advertising and marketing companies are cancer upon this earth. I studied that shit for years and ended up dropping out, because it was so depressing. They infiltrate bloggers and pay them to spread their cancerous agenda, newspapers, journalists, municipalities, governments, NGO´s, grass roots, astro turfing, forum infiltration and dozen others shady, two-step methods. Absolutely aboherrent.
Problem is, pol would be the most effective communications company on earth, if it was properly coordinated.
>im jewish where's my media empire?
you're not an elite jew. did you know that elite jews intentionally sacrificed untermensch jews during WWII?
>jews control the media
>false narrative
smug anime girl.jpg
Pol has always aspired to be the Jews
what happens if one stops using the toothepaste?
Freemason here. I thought you guys at least knew this much about Sup Forums.
I think some time ago someone said Invisibro handles ads for Sup Forums.
Then somehow hiroshima had ad problems and begs to us instead of asking for help from invisibro.
Sounds a lot like some kind of jewish manipulation is going on
We don't own the media (yet), but the gradual evolution of the DDoS attack from technical to psychological means that we are becoming too powerful for our own comprehension.
We have people thinking that the "OK" sign is a white supremacist symbol. We're accidentally dictating the terms of their reality.
I wouldn't be surprised if it all turned out to be an experiment in how to make people unconsciously fight a culture war.
kys you race traitor faggot
you're kidding right? Joel Stein of the LA Times wrote an article a few years ago crowing about how the jews control Hollywood. Now, you need to realize that these same media conglomerates control television and print as well, and it's only gotten worse since his article.